# What to do
Quote the listing below exactly.

# Input
/*
Entry from Alexandria via LeMat-Bulk: MoIrOs2 at its PBEsol-relaxed geometry (SCAN).

Unit cell a=3.8461 b=3.8461 c=3.8442 alpha=90.00 beta=90.00 gamma=90.00
Space group P4/mmm (No. 123)
Symmetry-distinct sites (fractional):
Mo  0.0000  0.0000  0.0000
Ir  0.5000  0.5000  0.0000
Os  0.0000  0.5000  0.5000

Computed properties:
- Calculated volume: 57 Å³/cell
- Theoretical density: 19525 kg/m3
- Energy above the lowest structure with this stoichiometry: 0 meV/atom
- Energy relative to the elements: -151 meV/atom

=====

Entry from Alexandria via LeMat-Bulk: CaMg2Ag at its PBEsol-relaxed geometry (SCAN).

Unit cell a=3.5328 b=3.5328 c=7.5365 alpha=90.00 beta=90.00 gamma=90.00
Space group P4mm (No. 99)
Symmetry-distinct sites (fractional):
Ca  0.0000  0.0000  0.0000
Mg  0.0000  0.0000  0.5597
Mg  0.5000  0.5000  0.3150
Ag  0.5000  0.5000  0.7397

Computed properties:
- Calculated volume: 94 Å³/cell
- Theoretical density: 3470 kg/m3
- Energy relative to the elements: -171 meV/atom

=====

Entry from Alexandria via LeMat-Bulk: Ta4MnPt at its PBEsol-relaxed geometry (SCAN).

Unit cell a=7.4755 b=7.4755 c=7.4755 alpha=90.00 beta=90.00 gamma=90.00
Space group F-43m (No. 216)
Symmetry-distinct sites (fractional):
Ta  0.1243  0.1243  0.3757
Mn  0.2500  0.2500  0.7500
Pt  0.0000  0.0000  0.0000

Computed properties:
- Calculated volume: 418 Å³/cell
- Theoretical density: 15483 kg/m3
- Energy relative to the elements: 180 meV/atom

=====

Entry from Alexandria via LeMat-Bulk: CsSc3Cd at its PBEsol-relaxed geometry (SCAN).

Unit cell a=5.4689 b=5.4689 c=5.4689 alpha=90.00 beta=90.00 gamma=90.00
Space group Pm-3m (No. 221)
Symmetry-distinct sites (fractional):
Cs  0.0000  0.0000  0.0000
Sc  0.0000  0.5000  0.5000
Cd  0.5000  0.5000  0.5000

Computed properties:
- Calculated volume: 164 Å³/cell
- Theoretical density: 3860 kg/m3
- Energy above the lowest structure with this stoichiometry: 0 meV/atom
- Energy relative to the elements: 597 meV/atom
*/

# Completed
Entry from Alexandria via LeMat-Bulk: MoIrOs2 at its PBEsol-relaxed geometry (SCAN).

Unit cell a=3.8461 b=3.8461 c=3.8442 alpha=90.00 beta=90.00 gamma=90.00
Space group P4/mmm (No. 123)
Symmetry-distinct sites (fractional):
Mo  0.0000  0.0000  0.0000
Ir  0.5000  0.5000  0.0000
Os  0.0000  0.5000  0.5000

Computed properties:
- Calculated volume: 57 Å³/cell
- Theoretical density: 19525 kg/m3
- Energy above the lowest structure with this stoichiometry: 0 meV/atom
- Energy relative to the elements: -151 meV/atom

=====

Entry from Alexandria via LeMat-Bulk: CaMg2Ag at its PBEsol-relaxed geometry (SCAN).

Unit cell a=3.5328 b=3.5328 c=7.5365 alpha=90.00 beta=90.00 gamma=90.00
Space group P4mm (No. 99)
Symmetry-distinct sites (fractional):
Ca  0.0000  0.0000  0.0000
Mg  0.0000  0.0000  0.5597
Mg  0.5000  0.5000  0.3150
Ag  0.5000  0.5000  0.7397

Computed properties:
- Calculated volume: 94 Å³/cell
- Theoretical density: 3470 kg/m3
- Energy relative to the elements: -171 meV/atom

=====

Entry from Alexandria via LeMat-Bulk: Ta4MnPt at its PBEsol-relaxed geometry (SCAN).

Unit cell a=7.4755 b=7.4755 c=7.4755 alpha=90.00 beta=90.00 gamma=90.00
Space group F-43m (No. 216)
Symmetry-distinct sites (fractional):
Ta  0.1243  0.1243  0.3757
Mn  0.2500  0.2500  0.7500
Pt  0.0000  0.0000  0.0000

Computed properties:
- Calculated volume: 418 Å³/cell
- Theoretical density: 15483 kg/m3
- Energy relative to the elements: 180 meV/atom

=====

Entry from Alexandria via LeMat-Bulk: CsSc3Cd at its PBEsol-relaxed geometry (SCAN).

Unit cell a=5.4689 b=5.4689 c=5.4689 alpha=90.00 beta=90.00 gamma=90.00
Space group Pm-3m (No. 221)
Symmetry-distinct sites (fractional):
Cs  0.0000  0.0000  0.0000
Sc  0.0000  0.5000  0.5000
Cd  0.5000  0.5000  0.5000

Computed properties:
- Calculated volume: 164 Å³/cell
- Theoretical density: 3860 kg/m3
- Energy above the lowest structure with this stoichiometry: 0 meV/atom
- Energy relative to the elements: 597 meV/atom